Here's the Plan (2)

"There's more injured people than I imagined."

I quietly mumbled to myself as I looked at the groups. In front of me were three groups filled with nothing but injured people. In other words, we got 27 injured people to worry about.

"Okay. I will start explaining the plan. Do you guys know where the bus garage is?"

I asked the crowd.

"I do. it's on the other side of campus isn't it?"

A boy from the front most group asked as he pushed up his glasses with his middle finger. He gives of a ' no nonsense, always serious' type of vibe... I'll call you Glasses-kun.

Yeah, that sounds right. He fits the bill perfectly!

After deciding on the boy's nickname, I thoughtlessly said.


Probably not liking my answer, Megane-kun puts on a stern expression and says.

"So, you're telling me we're going to have to make our way through dark, zombie infested hallways just to get to the bus garage?"

Attached: data records
┌──
# 1
This entry pairs a crystal structure of KCaTbFeO6 with its computed PXRD pattern. Radiation: λ = 1.5418 Å (Cu Kα). Structure: DFT lattice parameters and positions (GGA+U).
Lines closer than 0.1° are merged.

Structure:
a = 5.7651 Å, b = 5.7651 Å, c = 5.7651 Å
α = 60.00°, β = 60.00°, γ = 60.00°
Fractional positions:
K 0.0000 0.0000 0.0000
Ca 0.5000 0.5000 0.5000
Tb 0.2500 0.2500 0.2500
Fe 0.7500 0.7500 0.7500
O 0.5211 0.5211 0.9789
O 0.5211 0.9789 0.5211
O 0.5211 0.9789 0.9789
O 0.9789 0.5211 0.5211
O 0.9789 0.5211 0.9789
O 0.9789 0.9789 0.5211

Most intense lines, 2θ from 10° to 90°, by angle:
2θ (°), d [Å], I/Imax
18.85, 4.707, 21
21.80, 4.077, 48
31.02, 2.883, 100
36.55, 2.458, 19
44.45, 2.038, 38
48.68, 1.870, 11
50.03, 1.823, 19
55.19, 1.664, 37
64.67, 1.441, 21
73.46, 1.289, 17



# 2
This entry pairs a crystal structure of CaLa2Mn2Fe2O12 with its computed PXRD pattern. Radiation: λ = 1.5418 Å (Cu Kα). Structure: DFT lattice parameters and positions (GGA+U).
Lines closer than 0.1° are merged.

Structure:
a = 5.4522 Å, b = 5.4803 Å, c = 7.7161 Å
α = 89.81°, β = 89.94°, γ = 89.73°
Fractional positions:
Ca 0.0000 0.0000 0.0000
La 0.4970 0.4946 0.0006
La 0.9577 0.9936 0.4991
Mn 0.4733 0.9987 0.2536
Mn 0.9791 0.4959 0.7461
Fe 0.4734 0.0009 0.7446
Fe 0.9819 0.4959 0.2550
O 0.1864 0.7828 0.7343
O 0.1925 0.7858 0.2647
O 0.2393 0.2679 0.7942
O 0.2424 0.2602 0.2071
O 0.4739 0.0542 0.4966
O 0.4758 0.9411 0.0018
O 0.7058 0.7355 0.2759
O 0.7141 0.7318 0.7248
O 0.7508 0.2184 0.2159
O 0.7562 0.2243 0.7844
O 0.9617 0.5598 0.9978
O 0.9842 0.4422 0.5026

Most intense lines, 2θ from 10° to 90°, by angle:
2θ (°), d [Å], I/Imax
19.89, 4.464, 60
19.95, 4.451, 20
32.69, 2.739, 49
32.84, 2.728, 100
38.64, 2.330, 23
38.74, 2.324, 15
46.90, 1.937, 19
47.13, 1.929, 36
58.43, 1.579, 20
58.59, 1.576, 20



# 3
This entry pairs a crystal structure of Ca3LaFe2Mo2O12 with its computed PXRD pattern. Radiation: λ = 1.5418 Å (Cu Kα). Structure: DFT lattice parameters and positions (GGA+U).
Lines closer than 0.1° are merged.

Structure:
a = 5.4831 Å, b = 5.6579 Å, c = 9.8954 Å
α = 99.48°, β = 95.55°, γ = 91.60°
Fractional positions:
Ca 0.0000 0.0000 0.0000
Ca 0.1561 0.0677 0.5759
Ca 0.5031 0.5000 0.0382
La 0.6245 0.5784 0.4817
Fe 0.0180 0.6019 0.2407
Fe 0.4728 0.9168 0.8245
Mo 0.5728 0.0318 0.2694
Mo 0.9663 0.4346 0.8469
O 0.0827 0.4181 0.0623
O 0.1963 0.1494 0.8214
O 0.2394 0.6994 0.8963
O 0.3670 0.7245 0.2650
O 0.4310 0.1835 0.4250
O 0.4657 0.8447 0.6352
O 0.7001 0.2009 0.8953
O 0.7333 0.6930 0.8892
O 0.7432 0.3439 0.2485
O 0.8004 0.8409 0.1689
O 0.9152 0.3978 0.6560
O 0.9608 0.7594 0.4263

Most intense lines, 2θ from 10° to 90°, by angle:
2θ (°), d [Å], I/Imax
18.28, 4.854, 33
19.48, 4.558, 44
23.32, 3.814, 36
23.41, 3.800, 47
28.31, 3.152, 100
29.63, 3.015, 70
32.45, 2.759, 45
32.82, 2.729, 64
45.49, 1.994, 38
46.80, 1.941, 71



# 4
└──

"Exactly. You're a smart guy you know that?"

"Please elabora-"

"You're crazy! Don't you know how dangerous it is doing that?"

Before Glasses-kun could even finish what he was saying, he was cut off mid sentence by a person who was in strong opposition with my plan.

"Are you insane! That's suicide!"

One boy angrily shouts.

"I don't have to listen to your sh*t! You're  trying to kill us?"

And following right behind him, another boy furiously said.

There were other voices of opposition but I didn't care. What matters to me right now is to finish explaining my plan. My back is practically soaked in sweat! So the faster I am with this, the better!

However, in order to finish explaining, I need to calm down the crowd

• Records of crystals that have nothing to do with the piece:
~~~
[1]
# U2CuS2N2
Calculated powder diffraction line list, CuKα. Input: a DFT-relaxed cell (GGA-PBE, Alexandria).

Cell and atoms:
Lattice parameters (Å, degrees): 3.8181 3.8181 10.5125 90.00 90.00 120.00
Atoms (fractional coordinates):
U 0.3333 0.6667 0.1360
U 0.6667 0.3333 0.8640
Cu 0.0000 0.0000 0.5000
S 0.0000 0.0000 0.2974
S 0.0000 0.0000 0.7026
N 0.3333 0.6667 0.9199
N 0.6667 0.3333 0.0801

Most intense lines, 10° ≤ 2θ ≤ 80°, in order of falling intensity:
d/Å, two_theta, I_rel
3.154, 28.29, 100
2.799, 31.98, 70
1.909, 47.63, 32
2.057, 44.01, 25
3.504, 25.42, 23
2.405, 37.39, 22



[2]
# Pm5Ni2Ag
Calculated powder diffraction line list, CuKα. Input: a DFT-relaxed cell (GGA-PBE, Alexandria).

Cell and atoms:
Lattice parameters (Å, degrees): 8.6607 8.6607 8.6607 125.74 125.74 80.32
Atoms (fractional coordinates):
Pm 0.0000 0.0000 0.0000
Pm 0.0249 0.5249 0.8234
Pm 0.2015 0.0249 0.5000
Pm 0.2985 0.7985 0.8234
Pm 0.4751 0.2985 0.5000
Pm 0.5000 0.5000 0.0000
Pm 0.5249 0.7015 0.5000
Pm 0.7015 0.2015 0.1766
Pm 0.7985 0.9751 0.5000
Pm 0.9751 0.4751 0.1766
Ni 0.1221 0.3779 0.5000
Ni 0.3779 0.8779 0.2559
Ni 0.6221 0.1221 0.7441
Ni 0.8779 0.6221 0.5000
Ag 0.2500 0.2500 0.0000
Ag 0.7500 0.7500 0.0000

Most intense lines, 10° ≤ 2θ ≤ 80°, in order of falling intensity:
d/Å, two_theta, I_rel
2.758, 32.47, 100
2.498, 35.95, 69
2.537, 35.39, 48
3.413, 26.11, 32
2.847, 31.42, 30
1.623, 56.73, 27



[3]
# AsH2Br3
Calculated powder diffraction line list, CuKα. Input: a DFT-relaxed cell (GGA-PBE, Alexandria).

Cell and atoms:
Lattice parameters (Å, degrees): 6.9372 6.9372 7.6065 90.90 90.90 71.47
Atoms (fractional coordinates):
As 0.0368 0.9632 0.7500
As 0.9632 0.0368 0.2500
H 0.2071 0.4994 0.2617
H 0.4994 0.2071 0.7617
H 0.5006 0.7929 0.2383
H 0.7929 0.5006 0.7383
Br 0.1672 0.1692 0.0046
Br 0.1692 0.1672 0.5046
Br 0.3278 0.6722 0.7500
Br 0.6722 0.3278 0.2500
Br 0.8308 0.8328 0.4954
Br 0.8328 0.8308 0.9954

Most intense lines, 10° ≤ 2θ ≤ 80°, in order of falling intensity:
d/Å, two_theta, I_rel
6.577, 13.46, 100
3.124, 28.57, 50
4.052, 21.94, 42
2.627, 34.14, 38
3.180, 28.06, 36
4.947, 17.93, 31



[4]
# La5YAl2
Calculated powder diffraction line list, CuKα. Input: a DFT-relaxed cell (GGA-PBE, Alexandria).

Cell and atoms:
Lattice parameters (Å, degrees): 5.5004 5.5004 20.3871 90.00 90.00 120.00
Atoms (fractional coordinates):
La 0.0000 0.0000 0.1534
La 0.0000 0.0000 0.3466
La 0.0000 0.0000 0.6534
La 0.0000 0.0000 0.8466
La 0.3333 0.6667 0.0541
La 0.3333 0.6667 0.2500
La 0.3333 0.6667 0.4459
La 0.6667 0.3333 0.5541
La 0.6667 0.3333 0.7500
La 0.6667 0.3333 0.9459
Y 0.3333 0.6667 0.7500
Y 0.6667 0.3333 0.2500
Al 0.3333 0.6667 0.6024
Al 0.3333 0.6667 0.8976
Al 0.6667 0.3333 0.1024
Al 0.6667 0.3333 0.3976

Most intense lines, 10° ≤ 2θ ≤ 80°, in order of falling intensity:
d/Å, two_theta, I_rel
2.750, 32.56, 100
3.480, 25.60, 58
2.766, 32.36, 56
3.098, 28.82, 31
1.638, 56.16, 30
1.591, 57.97, 21



[5]
# Sm2YTe3
~~~
• Here the piece continues:

"Everyone, shut up!"

Just as I was about to shout out the same thing, Big Sis was one step ahead of me. With her loud and commanding voice combined with her ruby eyed glare, the groups quickly quieted.

Man, her charisma never ceases to amaze me! I actually felt my heart flutter when she shouted that sentence! Her becoming a delinquent leader and earning the nickname, 'Lady General' is truly well deserved!

"Since there's a lot of people who are against this plan then tell me, do you guys have one?"

Big Sis asked, scanning the crowd.


At every person she looked at (starting with the two guys who lashed out first) they flusteredly turned their head away in shame.

Noticing this, a look of disapproval appeared on her face.

"Listen, Me, Mr. Ackland, Mr. Braxton and the others teachers already gave our approval on this, so I suggest that if you don't have any to contribute then stand there and be quiet. Is there any objections?"


"Desmond, continue."

With all the groups silent. Big Sis gave me the go ahead to continue.

.In the most calm and clear voice I could muster up, I proceed to tell the students my plan

"Since the gym is surrounded by nothing infected, we got no choice but to use the upper level entrance of the gym to get out of here. Compared to the number of infected outside, the ones in the hallway are far less.

Once we're in the hallways, we'll slowly make our way to the other side of campus using the route Mr. Ackland showed me. It's the most direct one and I like that. However, because it's too dangerous for all 88 of us to go at one time, we'll make three trips."

# Calculated crystals, as found in the file
~~~
(1)
Structure and calculated X-ray powder pattern of Ce2In5Br12 (a cell relaxed with PBE; copper Kα).
Intensities are scaled so that the largest is 100.

Largest 10 diffraction maxima, low angle first, 5 to 70 degrees two-theta:
d/Å  two_theta  I_rel
5.126  17.3  37.6
4.730  18.8  56.6
4.529  19.6  44.7
3.309  26.9  52.7
3.277  27.2  100.0
3.027  29.5  48.6
2.823  31.7  56.0
2.568  34.9  51.9
2.356  38.2  52.7
2.165  41.7  49.6

Crystal structure
a = 9.968 Å, b = 9.968 Å, c = 10.635 Å
α = 107.40°, β = 107.40°, γ = 51.49°
Sites, in units of the cell vectors:
Ce 0.249 0.751 0.000
Ce 0.751 0.249 0.000
In 0.181 0.181 0.767
In 0.221 0.221 0.379
In 0.500 0.500 0.500
In 0.779 0.779 0.621
In 0.819 0.819 0.233
Br 0.005 0.005 0.190
Br 0.076 0.599 0.915
Br 0.106 0.612 0.448
Br 0.388 0.894 0.552
Br 0.401 0.924 0.085
Br 0.498 0.498 0.816
Br 0.502 0.502 0.184
Br 0.599 0.076 0.915
Br 0.612 0.106 0.448
Br 0.894 0.388 0.552
Br 0.924 0.401 0.085
Br 0.995 0.995 0.810

(2)
Structure and calculated X-ray powder pattern of LiMgHgRh (a cell relaxed with PBE; copper Kα).
Intensities are scaled so that the largest is 100.

Largest 10 diffraction maxima, low angle first, 5 to 70 degrees two-theta:
d/Å  two_theta  I_rel
3.986  22.3  68.5
2.850  31.4  59.0
2.318  38.8  100.0
2.167  41.7  20.5
1.993  45.5  16.0
1.904  47.8  18.6
1.891  48.1  13.6
1.709  53.6  13.2
1.633  56.3  22.9
1.467  63.4  11.8

Crystal structure
a = 3.783 Å, b = 3.986 Å, c = 4.334 Å
α = 90.00°, β = 90.00°, γ = 90.00°
Sites, in units of the cell vectors:
Li 0.000 0.000 0.000
Mg 0.500 0.000 0.500
Hg 0.500 0.500 0.000
Rh 0.000 0.500 0.500

(3)
Structure and calculated X-ray powder pattern of Pr12SmIn4N3 (a cell relaxed with PBE; copper Kα).
Intensities are scaled so that the largest is 100.

Largest 10 diffraction maxima, low angle first, 5 to 70 degrees two-theta:
d/Å  two_theta  I_rel
5.190  17.1  7.4
3.282  27.2  4.8
2.996  29.8  100.0
2.774  32.3  7.0
2.595  34.6  71.9
2.213  40.8  5.6
1.835  49.7  48.6
1.565  59.0  38.9
1.498  61.9  15.8
1.413  66.2  4.7

Crystal structure
a = 8.989 Å, b = 8.989 Å, c = 8.989 Å
α = 109.47°, β = 109.47°, γ = 109.47°
Sites, in units of the cell vectors:
Pr 0.000 0.275 0.275
Pr 0.000 0.725 0.725
Pr 0.250 0.500 0.750
Pr 0.250 0.750 0.500
Pr 0.275 0.000 0.275
Pr 0.275 0.275 0.000
Pr 0.500 0.250 0.750
Pr 0.500 0.750 0.250
Pr 0.725 0.000 0.725
Pr 0.725 0.725 0.000
Pr 0.750 0.250 0.500
Pr 0.750 0.500 0.250
Sm 0.000 0.000 0.000
In 0.000 0.000 0.500
In 0.000 0.500 0.000
In 0.500 0.000 0.000
In 0.500 0.500 0.500
N 0.000 0.500 0.500
N 0.500 0.000 0.500
N 0.500 0.500 0.000
~~~

Saying this, I raise three fingers.

"On each trip, 3 groups will enter the hallways and head towards the bus garage. And out of the three, one of them will an injured group. But because they can't defend themselves very well, they'll be placed in the middle and protected by the other two groups."

"If that's the case then how will we know if they ever made it to the garage?"

A girl said with a raise of her hand.

"Easy. Use your phones. The moment one of the groups reach the garage, have a person call back here. That way, we'll know if you made it there safe. Anymore questions?"

"I do."

"What is it, Glasses-kun?"

"...Err, what about weapons? You don't expect us to go in empty handed would you?"

Glasses-kun asked after being somewhat caught off guard with the way I was called him.

"Of course not! I'm not that stupid...Look over there!"

I pointed towards where Mr. Braxton and the other teachers were as they brought push carts filled with bats and other sports equipment over here.

When the teachers finally brought the carts full of weapons (sports equipment) to where I was, I asked Mr. Braxton a question.

"Where did you find all these?"

I'm surprised.

They found more weapons than I thought they would. I was kind of expecting that we would have to make weapons 'caveman' style if we didn't have enough.

With a good natured smile, Mr. Braxton says.

"We found all these stuffed in boxes in a few of the storage rooms! They're brand new! I remembered that at the beginning of the semester, Mr. Cole ordered some new equipment for the sporting teams. He wanted them to have a competitive edge on their opponents, you see?"

"I understand. Well, there should be enough weapons here for everyone. Thank you!"

"Haha, you shouldn't thank me. Thank Mr. Cole instead! I'm pretty sure he made it out of with the students he was protecting! Next time you see him, give him a hug in appreciation."

"... I'll make sure to give him a nice bear hug the moment I see him then."

Feeling both, a little awkward and bitter at the same time,I somewhat managed to say.

Judging by how Mr. Braxton fondly talks about Mr. Cole, I can see the both of them have an amicable relationship. Possibly a senior/junior one.

Knowing this, I can't help but feel even more bitter. I can't tell Mr. Braxton that Mr. Cole didn't make out alive nor can I tell him that I killed Mr. Cole by chopping off his head!

I'm not that cold. Not to mention, I can't risk the possibility of an old man crying. That would be too heartbreaking to see.